Exercise:
Search the block further below for the word "geometry" and write out each line that has it.

Input:
********
1.
LiPtI3 | Alexandria | PBE-GGA | optimized geometry; raw formation energy = -0.257 eV/atom; E above lowest polymorph = 0.000 eV/atom; DOS(E_F) = 0.227 states/eV per atom
1.0
-0.340 5.552 0.005
-5.417 -0.333 1.220
1.218 0.070 5.427
I Pt Li
3 1 1
Direct
0.000 0.500 0.000
0.000 0.000 0.500
0.500 0.000 0.000
0.000 0.000 0.000
0.500 0.500 0.500

---

2.
CdSn2Hg | Alexandria | PBE-GGA | optimized geometry; E above lowest polymorph = 0.029 eV/atom; DFT formation energy = 69 meV per atom; DOS(E_F) = 0.609 states/eV per atom
1.0
-2.568 1.075 -1.967
1.953 -0.394 -2.765
-2.875 -8.392 -0.835
Cd Hg Sn
1 1 2
Direct
0.500 0.500 0.000
0.500 0.500 0.500
0.000 0.000 0.754
0.000 0.000 0.246

---

3.
TlCdIn | Alexandria | PBE-GGA | optimized geometry; DFT formation energy = 62 meV per atom; DOS(E_F) = 0.364 states/eV per atom
1.0
8.803 0.022 -0.017
7.907 3.197 -0.192
0.897 -1.070 2.995
Tl Cd In
1 1 1
Direct
0.664 0.664 0.336
0.998 0.998 0.002
0.338 0.338 0.662

---

4.
Sr3ErS4 | Alexandria | PBE-GGA | optimized geometry; raw formation energy = -2.059 eV/atom; DOS(E_F) = 0.335 states/eV per atom
1.0
4.139 0.000 0.000
0.000 7.216 -0.051
0.000 -2.323 6.831
Sr Er S
3 1 4
Direct
0.000 0.000 0.500
0.500 0.500 0.500
0.000 0.500 0.000
0.500 0.000 0.000
0.000 0.230 0.230
0.500 0.762 0.238
0.000 0.770 0.770
0.500 0.238 0.762

---

5.
Nb3FeTc2 | Alexandria | PBE-GGA | optimized geometry; DFT formation energy = -233 meV per atom; DOS(E_F) = 0.657 states/eV per atom
1.0
3.173 0.000 0.000
0.000 3.173 0.000
0.000 0.000 9.410
Nb Fe Tc
3 1 2
Direct
0.000 0.000 0.000
0.000 0.000 0.661
0.000 0.000 0.339
0.500 0.500 0.500
0.500 0.500 0.830
0.500 0.500 0.170

---

6.
Cd2Bi2S | Alexandria | PBE-GGA | optimized geometry; raw formation energy = 0.188 eV/atom; E above lowest polymorph = 0.095 eV/atom; DOS(E_F) = 0.470 states/eV per atom
1.0
7.509 0.000 0.000
0.000 7.509 0.000
0.000 0.000 4.875
S Bi Cd
2 4 4
Direct
0.000 0.000 0.000
0.500 0.500 0.000
0.142 0.642 0.500
0.642 0.858 0.500
0.858 0.358 0.500
0.358 0.142 0.500
0.337 0.837 0.000
0.837 0.663 0.000
0.663 0.163 0.000
0.163 0.337 0.000

---

7.
Zn2FeTe | Alexandria | PBE-GGA | optimized geometry; raw formation energy = 0.168 eV/atom; DOS(E_F) = 1.058 states/eV per atom
1.0
4.369 -0.015 -0.202
3.209 2.965 -0.202
-0.590 -0.230 6.084
Fe Te Zn
1 1 2
Direct
0.475 0.475 0.552
0.147 0.147 0.330
0.088 0.088 0.883
0.790 0.790 0.736

---

8.
TaP3Cl | Alexandria | PBE-GGA | optimized geometry; raw formation energy = 1.329 eV/atom; E above lowest polymorph = 0.978 eV/atom; DOS(E_F) = 0.762 states/eV per atom
1.0
-1.571 -3.880 -1.364
1.800 0.664 -3.962
3.698 -1.972 1.350
P Cl Ta
3 1 1
Direct
0.000 0.500 0.000
0.000 0.000 0.500
0.500 0.000 0.000
0.000 0.000 0.000
0.500 0.500 0.500

---

9.
Er3NiRh2 | Alexandria | PBE-GGA | optimized geometry; E above lowest polymorph = 0.006 eV/atom; DFT formation energy = -760 meV per atom; DOS(E_F) = 0.670 states/eV per atom
1.0
-1.374 1.402 2.701
-2.951 -1.341 -0.805
2.329 -8.482 5.588
Er Ni Rh
3 1 2
Direct
0.000 0.000 0.000
0.000 0.000 0.665
0.000 0.000 0.335
0.500 0.500 0.500
0.500 0.500 0.831
0.500 0.500 0.169

---

10.
LiGa6Rh | Alexandria | PBE-GGA | optimized geometry; DFT formation energy = -212 meV per atom; DOS(E_F) = 0.305 states/eV per atom
1.0
-4.772 -1.287 2.405
2.339 -4.873 -0.997
1.467 -1.813 4.976
Li Ga Rh
1 6 1
Direct
0.500 0.500 0.500
0.153 0.706 0.294
0.706 0.153 0.294
0.294 0.847 0.706
0.847 0.294 0.706
0.294 0.294 0.154
0.706 0.706 0.846
0.000 0.000 0.000

---

11.
NdSmZnHg | Alexandria | PBE-GGA | optimized geometry; E above lowest polymorph = 0.000 eV/atom; DFT formation energy = -399 meV per atom; DOS(E_F) = 0.990 states/eV per atom
1.0
-3.416 -1.250 0.785
1.463 -3.133 1.377
0.402 3.186 6.822
Nd Sm Zn Hg
1 1 1 1
Direct
0.500 0.500 0.125
0.500 0.500 0.590
0.000 0.000 0.363
0.000 0.000 0.850

---

12.
********

Solution:
LiPtI3 | Alexandria | PBE-GGA | optimized geometry; raw formation energy = -0.257 eV/atom; E above lowest polymorph = 0.000 eV/atom; DOS(E_F) = 0.227 states/eV per atom
CdSn2Hg | Alexandria | PBE-GGA | optimized geometry; E above lowest polymorph = 0.029 eV/atom; DFT formation energy = 69 meV per atom; DOS(E_F) = 0.609 states/eV per atom
TlCdIn | Alexandria | PBE-GGA | optimized geometry; DFT formation energy = 62 meV per atom; DOS(E_F) = 0.364 states/eV per atom
Sr3ErS4 | Alexandria | PBE-GGA | optimized geometry; raw formation energy = -2.059 eV/atom; DOS(E_F) = 0.335 states/eV per atom
Nb3FeTc2 | Alexandria | PBE-GGA | optimized geometry; DFT formation energy = -233 meV per atom; DOS(E_F) = 0.657 states/eV per atom
Cd2Bi2S | Alexandria | PBE-GGA | optimized geometry; raw formation energy = 0.188 eV/atom; E above lowest polymorph = 0.095 eV/atom; DOS(E_F) = 0.470 states/eV per atom
Zn2FeTe | Alexandria | PBE-GGA | optimized geometry; raw formation energy = 0.168 eV/atom; DOS(E_F) = 1.058 states/eV per atom
TaP3Cl | Alexandria | PBE-GGA | optimized geometry; raw formation energy = 1.329 eV/atom; E above lowest polymorph = 0.978 eV/atom; DOS(E_F) = 0.762 states/eV per atom
Er3NiRh2 | Alexandria | PBE-GGA | optimized geometry; E above lowest polymorph = 0.006 eV/atom; DFT formation energy = -760 meV per atom; DOS(E_F) = 0.670 states/eV per atom
LiGa6Rh | Alexandria | PBE-GGA | optimized geometry; DFT formation energy = -212 meV per atom; DOS(E_F) = 0.305 states/eV per atom
NdSmZnHg | Alexandria | PBE-GGA | optimized geometry; E above lowest polymorph = 0.000 eV/atom; DFT formation energy = -399 meV per atom; DOS(E_F) = 0.990 states/eV per atom